Input =
........
[1]
44
Properties=species:S:1:pos:R:3:forces:R:3 method="wB97M-V/def2-TZVPD" e_lumo_ev="-6.443 / -9.161" homo_energy_ev="-14.4555 / -14.6072" total_charge=+2 energy_ev=-107942.4661 multiplicity=5
H 5.896896 -0.887151 -0.968291 -0.1 0.0 0.0
C -1.880119 1.885131 -1.068446 1.9 0.7 0.2
H -3.783408 -3.419056 0.598708 -0.2 0.0 0.0
C -2.115788 1.710378 4.393068 -0.7 0.5 0.9
N -0.681539 0.849788 2.441087 -0.2 0.0 0.1
C 3.220354 -2.552207 -0.146789 -0.1 0.2 0.1
H -2.121766 3.702924 -1.937330 0.0 0.0 0.0
C -1.314033 1.235276 3.320302 0.9 -0.7 -1.1
C 2.874980 -0.204689 -2.262410 0.0 0.0 0.2
C -0.046005 -3.981968 1.393826 -0.1 -0.1 0.1
H 5.528147 0.789346 -0.481258 -0.1 -0.1 0.0
N -2.568856 2.842984 -1.665284 -0.1 -0.4 0.2
H -1.469670 1.868156 5.262837 -0.1 -0.1 -0.1
H 4.073258 -3.072255 -0.590189 0.0 0.2 0.0
H -0.623445 -5.942817 1.981209 0.0 -0.1 0.0
S -0.164957 2.177419 -0.739137 -0.1 -0.2 0.1
C -0.455373 -2.703193 0.945229 -0.2 -0.5 0.0
C -2.371503 -1.292247 0.127165 -0.7 -1.0 0.1
As 3.438631 -0.634436 -0.445088 0.8 -0.3 -0.6
H -3.410375 3.346260 4.887259 0.0 0.0 0.0
Ru 0.233501 0.189237 0.398790 0.4 0.2 0.2
N -1.713453 -0.187496 -0.155409 0.5 1.1 -0.2
H -3.435390 -1.282033 -0.110822 0.1 0.1 0.0
H -2.133148 3.795239 3.764512 0.0 0.0 0.0
H -3.529927 2.858905 3.201321 0.0 0.0 -0.1
H 1.803741 -0.415091 -2.373547 0.3 0.0 0.1
C -0.956888 -4.990477 1.597278 0.8 0.5 -0.1
H 3.060131 0.856987 -2.453715 0.0 -0.2 0.1
C -1.856595 -2.496037 0.654246 0.3 0.8 -0.2
H 1.004640 -4.121224 1.596550 0.1 0.0 0.1
H 3.447396 -0.806574 -2.972299 -0.1 0.0 0.1
O 0.424556 -1.782988 0.794013 0.3 0.5 0.1
C -2.839215 3.012257 4.026621 -0.1 0.0 0.1
C -2.744320 -3.574343 0.841851 -0.2 -0.7 0.2
S 2.443932 0.690266 0.948985 -0.5 -0.1 -0.1
H 5.666141 -0.486046 0.752217 -0.2 0.0 -0.1
H -3.018972 -5.594824 1.453173 -0.1 -0.1 0.0
H -2.841722 0.929685 4.642971 0.1 0.0 0.1
H 3.201343 -2.743344 0.929498 0.0 0.1 -0.2
C -2.316511 -4.790697 1.310768 -0.7 0.6 -0.3
N -2.441431 0.761252 -0.726952 -2.0 -1.2 0.0
H 2.293275 -2.899023 -0.608346 0.2 0.1 0.1
C 5.335909 -0.264504 -0.266830 -0.1 0.0 0.0
H -3.550143 2.714000 -1.859350 -0.1 0.0 0.0



[2]
41
Properties=species:S:1:pos:R:3:forces:R:3 method="wB97M-V/def2-TZVPD" relative_energy_kcal_mol=0.0 e_lumo_ev="0.624 / 0.085" homo_energy_ev="-6.6002 / -8.5080" energy_ev=-49913.6457 multiplicity=5
C -0.777957 -2.535077 0.453738 -0.2 0.5 1.6
H -0.534603 4.133297 -1.680104 -0.3 -0.6 -0.2
N -0.575635 -1.357320 1.078041 -0.6 -2.1 1.8
H -2.816830 -0.504981 -1.934802 0.2 0.5 -0.1
H -3.294355 1.085949 -2.582764 0.2 -0.2 0.4
N 1.496788 -0.031743 1.572004 1.9 -0.8 1.5
H -1.581623 -0.369342 -3.919606 0.3 0.5 0.3
C 3.491952 -0.778280 2.327514 0.1 0.2 -0.2
C -1.058844 -2.871555 2.655712 0.4 0.1 -0.9
H -1.312865 -3.217346 3.660966 0.4 0.0 -0.5
H -1.330050 3.052393 -2.868399 0.3 0.0 0.9
C -1.221566 2.295080 -0.797780 -0.5 0.4 0.4
C -1.087166 -3.510912 1.413533 -0.3 -0.2 -0.2
C 0.761729 2.550527 -2.377825 -0.4 0.4 0.3
H 4.519281 -1.129322 2.333779 -0.3 0.2 0.1
H 3.061497 -0.407969 0.163081 -0.2 0.3 0.4
H -2.440858 0.789568 0.052019 0.2 0.2 -0.2
H 0.248152 -0.937544 -2.506370 0.0 0.8 0.1
C -0.013852 0.136264 -2.540434 0.8 -0.2 -0.3
C 2.612502 -0.657108 3.390749 -0.2 -0.4 -0.6
C 0.900726 1.070009 -2.145996 0.3 -0.5 -1.0
C -2.450819 0.519361 -2.142531 0.4 -0.4 -0.5
H -1.153944 2.856697 0.150346 0.0 -0.7 -0.3
H -0.651327 -2.582114 -0.621422 -0.2 -0.1 0.2
H -1.276523 -4.552958 1.217490 -0.2 0.0 0.1
H 1.530100 3.074007 -1.771021 -0.5 -0.3 -0.3
H 2.754969 -0.796945 4.444212 0.0 -0.4 0.1
H 0.290056 -1.505717 4.539450 0.0 0.4 -0.7
C -1.315017 0.444944 -3.215557 -0.7 0.0 -0.1
H 1.180969 -0.701227 -0.657422 0.1 -0.7 0.2
C -0.666156 3.069828 -1.972794 0.6 0.4 -0.3
Cr 0.155436 0.207032 0.098979 -0.4 0.9 -1.9
H -0.609514 0.132303 4.007004 -0.4 0.8 -0.2
C -1.947048 1.142070 -0.862813 -0.6 0.9 0.5
B 0.056203 -0.742748 3.584635 -0.3 -0.5 0.5
H 0.940810 2.826120 -3.436977 0.0 -0.2 0.4
H 1.916189 0.734382 -1.916058 -0.4 0.0 0.1
C 2.746271 -0.394424 1.201364 -0.1 0.3 1.2
........
Activity =
The reader should start at the top of the data earlier on and duplicate each line, ending with the one that has "1.217490 -0.2".
Solution =
[1]
44
Properties=species:S:1:pos:R:3:forces:R:3 method="wB97M-V/def2-TZVPD" e_lumo_ev="-6.443 / -9.161" homo_energy_ev="-14.4555 / -14.6072" total_charge=+2 energy_ev=-107942.4661 multiplicity=5
H 5.896896 -0.887151 -0.968291 -0.1 0.0 0.0
C -1.880119 1.885131 -1.068446 1.9 0.7 0.2
H -3.783408 -3.419056 0.598708 -0.2 0.0 0.0
C -2.115788 1.710378 4.393068 -0.7 0.5 0.9
N -0.681539 0.849788 2.441087 -0.2 0.0 0.1
C 3.220354 -2.552207 -0.146789 -0.1 0.2 0.1
H -2.121766 3.702924 -1.937330 0.0 0.0 0.0
C -1.314033 1.235276 3.320302 0.9 -0.7 -1.1
C 2.874980 -0.204689 -2.262410 0.0 0.0 0.2
C -0.046005 -3.981968 1.393826 -0.1 -0.1 0.1
H 5.528147 0.789346 -0.481258 -0.1 -0.1 0.0
N -2.568856 2.842984 -1.665284 -0.1 -0.4 0.2
H -1.469670 1.868156 5.262837 -0.1 -0.1 -0.1
H 4.073258 -3.072255 -0.590189 0.0 0.2 0.0
H -0.623445 -5.942817 1.981209 0.0 -0.1 0.0
S -0.164957 2.177419 -0.739137 -0.1 -0.2 0.1
C -0.455373 -2.703193 0.945229 -0.2 -0.5 0.0
C -2.371503 -1.292247 0.127165 -0.7 -1.0 0.1
As 3.438631 -0.634436 -0.445088 0.8 -0.3 -0.6
H -3.410375 3.346260 4.887259 0.0 0.0 0.0
Ru 0.233501 0.189237 0.398790 0.4 0.2 0.2
N -1.713453 -0.187496 -0.155409 0.5 1.1 -0.2
H -3.435390 -1.282033 -0.110822 0.1 0.1 0.0
H -2.133148 3.795239 3.764512 0.0 0.0 0.0
H -3.529927 2.858905 3.201321 0.0 0.0 -0.1
H 1.803741 -0.415091 -2.373547 0.3 0.0 0.1
C -0.956888 -4.990477 1.597278 0.8 0.5 -0.1
H 3.060131 0.856987 -2.453715 0.0 -0.2 0.1
C -1.856595 -2.496037 0.654246 0.3 0.8 -0.2
H 1.004640 -4.121224 1.596550 0.1 0.0 0.1
H 3.447396 -0.806574 -2.972299 -0.1 0.0 0.1
O 0.424556 -1.782988 0.794013 0.3 0.5 0.1
C -2.839215 3.012257 4.026621 -0.1 0.0 0.1
C -2.744320 -3.574343 0.841851 -0.2 -0.7 0.2
S 2.443932 0.690266 0.948985 -0.5 -0.1 -0.1
H 5.666141 -0.486046 0.752217 -0.2 0.0 -0.1
H -3.018972 -5.594824 1.453173 -0.1 -0.1 0.0
H -2.841722 0.929685 4.642971 0.1 0.0 0.1
H 3.201343 -2.743344 0.929498 0.0 0.1 -0.2
C -2.316511 -4.790697 1.310768 -0.7 0.6 -0.3
N -2.441431 0.761252 -0.726952 -2.0 -1.2 0.0
H 2.293275 -2.899023 -0.608346 0.2 0.1 0.1
C 5.335909 -0.264504 -0.266830 -0.1 0.0 0.0
H -3.550143 2.714000 -1.859350 -0.1 0.0 0.0



[2]
41
Properties=species:S:1:pos:R:3:forces:R:3 method="wB97M-V/def2-TZVPD" relative_energy_kcal_mol=0.0 e_lumo_ev="0.624 / 0.085" homo_energy_ev="-6.6002 / -8.5080" energy_ev=-49913.6457 multiplicity=5
C -0.777957 -2.535077 0.453738 -0.2 0.5 1.6
H -0.534603 4.133297 -1.680104 -0.3 -0.6 -0.2
N -0.575635 -1.357320 1.078041 -0.6 -2.1 1.8
H -2.816830 -0.504981 -1.934802 0.2 0.5 -0.1
H -3.294355 1.085949 -2.582764 0.2 -0.2 0.4
N 1.496788 -0.031743 1.572004 1.9 -0.8 1.5
H -1.581623 -0.369342 -3.919606 0.3 0.5 0.3
C 3.491952 -0.778280 2.327514 0.1 0.2 -0.2
C -1.058844 -2.871555 2.655712 0.4 0.1 -0.9
H -1.312865 -3.217346 3.660966 0.4 0.0 -0.5
H -1.330050 3.052393 -2.868399 0.3 0.0 0.9
C -1.221566 2.295080 -0.797780 -0.5 0.4 0.4
C -1.087166 -3.510912 1.413533 -0.3 -0.2 -0.2
C 0.761729 2.550527 -2.377825 -0.4 0.4 0.3
H 4.519281 -1.129322 2.333779 -0.3 0.2 0.1
H 3.061497 -0.407969 0.163081 -0.2 0.3 0.4
H -2.440858 0.789568 0.052019 0.2 0.2 -0.2
H 0.248152 -0.937544 -2.506370 0.0 0.8 0.1
C -0.013852 0.136264 -2.540434 0.8 -0.2 -0.3
C 2.612502 -0.657108 3.390749 -0.2 -0.4 -0.6
C 0.900726 1.070009 -2.145996 0.3 -0.5 -1.0
C -2.450819 0.519361 -2.142531 0.4 -0.4 -0.5
H -1.153944 2.856697 0.150346 0.0 -0.7 -0.3
H -0.651327 -2.582114 -0.621422 -0.2 -0.1 0.2
H -1.276523 -4.552958 1.217490 -0.2 0.0 0.1